[Brief]
Now quote the lines below from the one with "-2.62 2.13" to the one with "-6.10 2.23" word for word.

[Excerpt]
18
Properties=species:S:1:pos:R:3:nbo_charge:R:1 method="wB97M-V/def2-TZVPD" spin_multiplicity=1 lumo_ev=-4.49 total_charge=+1
C 0.86 -0.97 -1.08 -0.441
C -1.28 0.34 -0.50 0.103
N -0.08 -0.16 -0.23 -0.419
H 0.81 -0.49 -2.07 0.234
H 0.54 -1.97 -1.17 0.237
H 1.96 -0.94 -0.73 0.267
H -1.56 0.07 -1.54 0.230
H -2.13 0.59 0.17 0.251
H 0.24 -0.11 0.81 0.474
H 3.73 -0.70 2.46 0.493
H 2.91 -1.77 1.77 0.472
O 2.98 -0.82 1.83 -0.961
H -3.55 0.94 -3.33 0.487
H -2.62 2.13 -3.46 0.488
O -2.83 1.44 -2.78 -0.968
H -0.66 0.30 2.93 0.492
H 0.79 -0.25 3.04 0.514
O 0.17 0.27 2.48 -0.954



142
Properties=species:S:1:pos:R:3:lowdin_charge:R:1 method="wB97M-V/def2-TZVPD" spin_multiplicity=1 lumo_ev=-0.54
C -4.18 -0.91 -5.79 -1.614
Br -4.31 -1.71 -7.53 0.583
Br -5.76 0.22 -5.37 0.549
Br -2.48 -0.11 -5.50 0.616
H -4.31 -1.72 -5.10 -0.075
C -2.03 4.10 -4.63 -1.596
Br -2.10 5.73 -3.62 0.561
Br -0.19 3.41 -4.54 0.546
Br -2.55 4.28 -6.48 0.574
H -2.70 3.37 -4.21 -0.059
C 2.10 -1.05 -5.99 0.053
N 1.84 0.30 -5.39 -0.407
O 1.49 0.34 -4.20 -0.039
O 1.95 1.26 -6.15 0.035
H 2.87 -0.88 -6.74 0.104
H 1.17 -1.32 -6.46 0.091
H 2.37 -1.71 -5.11 0.100
C 6.23 3.65 0.37 0.048
N 5.01 3.95 -0.44 -0.444
O 5.23 4.44 -1.53 0.069
O 3.93 3.68 0.05 0.043
H 6.04 2.67 0.99 0.136
H 6.29 4.42 1.10 0.080
H 7.15 3.67 -0.24 0.103
C -3.70 -0.73 -1.81 0.026
N -4.92 -1.60 -2.01 -0.376
O -5.00 -2.50 -2.86 0.036
O -5.79 -1.37 -1.21 0.030
H -3.16 -0.51 -2.73 0.033
H -2.96 -1.39 -1.27 0.096
H -3.94 0.21 -1.20 0.083
C -2.45 -4.35 2.72 0.039
N -1.71 -4.87 3.91 -0.437
O -1.28 -4.17 4.76 0.078
O -1.50 -6.11 3.93 0.015
H -2.72 -3.29 2.85 0.077
H -3.24 -5.03 2.43 0.070
H -1.81 -4.31 1.81 0.097
C 2.85 1.96 3.26 -0.004
N 4.08 1.37 3.81 -0.489
O 4.32 1.62 4.97 0.065
O 4.80 0.67 3.17 0.040
H 2.12 1.99 4.03 0.037
H 2.53 1.41 2.42 0.044
H 3.05 3.03 3.09 0.124
C -6.45 -0.93 1.68 0.056
N -4.98 -0.80 1.45 -0.397
O -4.28 -1.82 1.48 0.030
O -4.47 0.32 1.25 0.010
H -6.78 -1.44 0.76 0.086
H -6.82 0.09 1.77 0.080
H -6.59 -1.59 2.56 0.116
C 1.83 -4.62 1.73 0.015
N 3.08 -4.57 2.51 -0.446
O 4.10 -4.63 1.88 0.072
O 2.97 -4.50 3.72 0.055
H 0.94 -4.84 2.38 0.102
H 1.83 -5.44 1.03 0.085
H 1.73 -3.65 1.20 0.057
C 1.19 5.70 -1.08 0.062
N 1.01 4.89 0.18 -0.401
O 1.53 5.29 1.22 0.032
O 0.34 3.87 0.13 -0.001
H 0.32 5.60 -1.69 0.035
H 2.02 5.37 -1.66 0.081
H 1.31 6.75 -0.77 0.113
C 3.79 1.70 -2.70 0.032
N 5.02 1.26 -3.36 -0.444
O 4.96 0.66 -4.40 0.073
O 6.08 1.55 -2.84 0.053
H 3.46 2.58 -3.24 0.119
H 3.97 1.77 -1.65 0.053
H 3.08 0.93 -2.89 0.051
C -6.37 -5.44 -1.18 0.059
N -5.02 -5.16 -0.60 -0.400
O -4.92 -5.21 0.62 0.051
O -4.09 -4.92 -1.39 0.037
H -6.98 -5.81 -0.34 0.106
H -6.21 -6.10 -1.98 0.086
H -6.87 -4.51 -1.38 0.090
C 6.17 -3.87 -3.55 0.065
N 4.85 -3.38 -4.09 -0.416
O 4.36 -2.47 -3.44 0.041
O 4.35 -3.95 -5.04 0.066
H 6.01 -4.39 -2.65 0.083
H 6.75 -3.04 -3.26 0.054
H 6.56 -4.55 -4.32 0.109
C -0.99 2.13 6.62 0.043
N -0.05 3.20 6.23 -0.416
O -0.27 4.41 6.51 0.034
O 0.87 2.87 5.56 0.061
H -0.47 1.20 6.36 0.092
H -1.91 2.16 6.09 0.082
H -1.23 2.39 7.58 0.075
Br 7.67 -1.46 -0.65 0.591
C 5.75 -0.84 -0.69 -0.655
C 4.86 -1.59 0.29 -0.565
Br 3.02 -0.81 0.04 0.616
H 5.47 -0.87 -1.70 -0.006
H 5.86 0.16 -0.32 0.019
H 5.14 -1.36 1.30 0.040
H 4.77 -2.69 0.10 0.065
Br -2.57 6.59 0.44 0.533
C -1.62 6.79 2.22 -0.607
C -1.35 5.44 2.75 -0.684
Br -3.07 4.66 3.29 0.600
H -2.33 7.37 2.81 0.046
H -0.68 7.30 1.92 0.070
H -0.69 5.49 3.64 0.084
H -1.05 4.87 1.90 -0.007
Br -0.16 -3.47 -1.27 0.619
C -0.67 -4.29 -2.99 -0.654
C -0.80 -3.17 -4.01 -0.676
Br -1.67 -3.99 -5.58 0.610
H -1.62 -4.80 -2.77 0.044
H 0.17 -4.88 -3.30 0.048
H 0.12 -2.70 -4.40 0.050
H -1.55 -2.41 -3.66 0.026
Br 1.91 -1.12 4.38 0.672
C 2.61 -2.08 5.96 -0.664
C 2.06 -1.52 7.24 -0.662
Br 3.13 -2.21 8.76 0.605
H 3.71 -2.11 5.97 0.059
H 2.21 -3.14 5.78 0.072
H 1.09 -1.94 7.38 0.040
H 2.01 -0.46 7.28 0.036
Br -3.44 3.36 -1.06 0.647
C -5.28 3.35 -0.41 -0.669
C -6.10 2.23 -1.03 -0.699
Br -7.92 2.33 -0.35 0.650
H -5.68 4.33 -0.72 0.061
H -5.27 3.24 0.69 0.064

[Worked solution]
H -2.62 2.13 -3.46 0.488
O -2.83 1.44 -2.78 -0.968
H -0.66 0.30 2.93 0.492
H 0.79 -0.25 3.04 0.514
O 0.17 0.27 2.48 -0.954



142
Properties=species:S:1:pos:R:3:lowdin_charge:R:1 method="wB97M-V/def2-TZVPD" spin_multiplicity=1 lumo_ev=-0.54
C -4.18 -0.91 -5.79 -1.614
Br -4.31 -1.71 -7.53 0.583
Br -5.76 0.22 -5.37 0.549
Br -2.48 -0.11 -5.50 0.616
H -4.31 -1.72 -5.10 -0.075
C -2.03 4.10 -4.63 -1.596
Br -2.10 5.73 -3.62 0.561
Br -0.19 3.41 -4.54 0.546
Br -2.55 4.28 -6.48 0.574
H -2.70 3.37 -4.21 -0.059
C 2.10 -1.05 -5.99 0.053
N 1.84 0.30 -5.39 -0.407
O 1.49 0.34 -4.20 -0.039
O 1.95 1.26 -6.15 0.035
H 2.87 -0.88 -6.74 0.104
H 1.17 -1.32 -6.46 0.091
H 2.37 -1.71 -5.11 0.100
C 6.23 3.65 0.37 0.048
N 5.01 3.95 -0.44 -0.444
O 5.23 4.44 -1.53 0.069
O 3.93 3.68 0.05 0.043
H 6.04 2.67 0.99 0.136
H 6.29 4.42 1.10 0.080
H 7.15 3.67 -0.24 0.103
C -3.70 -0.73 -1.81 0.026
N -4.92 -1.60 -2.01 -0.376
O -5.00 -2.50 -2.86 0.036
O -5.79 -1.37 -1.21 0.030
H -3.16 -0.51 -2.73 0.033
H -2.96 -1.39 -1.27 0.096
H -3.94 0.21 -1.20 0.083
C -2.45 -4.35 2.72 0.039
N -1.71 -4.87 3.91 -0.437
O -1.28 -4.17 4.76 0.078
O -1.50 -6.11 3.93 0.015
H -2.72 -3.29 2.85 0.077
H -3.24 -5.03 2.43 0.070
H -1.81 -4.31 1.81 0.097
C 2.85 1.96 3.26 -0.004
N 4.08 1.37 3.81 -0.489
O 4.32 1.62 4.97 0.065
O 4.80 0.67 3.17 0.040
H 2.12 1.99 4.03 0.037
H 2.53 1.41 2.42 0.044
H 3.05 3.03 3.09 0.124
C -6.45 -0.93 1.68 0.056
N -4.98 -0.80 1.45 -0.397
O -4.28 -1.82 1.48 0.030
O -4.47 0.32 1.25 0.010
H -6.78 -1.44 0.76 0.086
H -6.82 0.09 1.77 0.080
H -6.59 -1.59 2.56 0.116
C 1.83 -4.62 1.73 0.015
N 3.08 -4.57 2.51 -0.446
O 4.10 -4.63 1.88 0.072
O 2.97 -4.50 3.72 0.055
H 0.94 -4.84 2.38 0.102
H 1.83 -5.44 1.03 0.085
H 1.73 -3.65 1.20 0.057
C 1.19 5.70 -1.08 0.062
N 1.01 4.89 0.18 -0.401
O 1.53 5.29 1.22 0.032
O 0.34 3.87 0.13 -0.001
H 0.32 5.60 -1.69 0.035
H 2.02 5.37 -1.66 0.081
H 1.31 6.75 -0.77 0.113
C 3.79 1.70 -2.70 0.032
N 5.02 1.26 -3.36 -0.444
O 4.96 0.66 -4.40 0.073
O 6.08 1.55 -2.84 0.053
H 3.46 2.58 -3.24 0.119
H 3.97 1.77 -1.65 0.053
H 3.08 0.93 -2.89 0.051
C -6.37 -5.44 -1.18 0.059
N -5.02 -5.16 -0.60 -0.400
O -4.92 -5.21 0.62 0.051
O -4.09 -4.92 -1.39 0.037
H -6.98 -5.81 -0.34 0.106
H -6.21 -6.10 -1.98 0.086
H -6.87 -4.51 -1.38 0.090
C 6.17 -3.87 -3.55 0.065
N 4.85 -3.38 -4.09 -0.416
O 4.36 -2.47 -3.44 0.041
O 4.35 -3.95 -5.04 0.066
H 6.01 -4.39 -2.65 0.083
H 6.75 -3.04 -3.26 0.054
H 6.56 -4.55 -4.32 0.109
C -0.99 2.13 6.62 0.043
N -0.05 3.20 6.23 -0.416
O -0.27 4.41 6.51 0.034
O 0.87 2.87 5.56 0.061
H -0.47 1.20 6.36 0.092
H -1.91 2.16 6.09 0.082
H -1.23 2.39 7.58 0.075
Br 7.67 -1.46 -0.65 0.591
C 5.75 -0.84 -0.69 -0.655
C 4.86 -1.59 0.29 -0.565
Br 3.02 -0.81 0.04 0.616
H 5.47 -0.87 -1.70 -0.006
H 5.86 0.16 -0.32 0.019
H 5.14 -1.36 1.30 0.040
H 4.77 -2.69 0.10 0.065
Br -2.57 6.59 0.44 0.533
C -1.62 6.79 2.22 -0.607
C -1.35 5.44 2.75 -0.684
Br -3.07 4.66 3.29 0.600
H -2.33 7.37 2.81 0.046
H -0.68 7.30 1.92 0.070
H -0.69 5.49 3.64 0.084
H -1.05 4.87 1.90 -0.007
Br -0.16 -3.47 -1.27 0.619
C -0.67 -4.29 -2.99 -0.654
C -0.80 -3.17 -4.01 -0.676
Br -1.67 -3.99 -5.58 0.610
H -1.62 -4.80 -2.77 0.044
H 0.17 -4.88 -3.30 0.048
H 0.12 -2.70 -4.40 0.050
H -1.55 -2.41 -3.66 0.026
Br 1.91 -1.12 4.38 0.672
C 2.61 -2.08 5.96 -0.664
C 2.06 -1.52 7.24 -0.662
Br 3.13 -2.21 8.76 0.605
H 3.71 -2.11 5.97 0.059
H 2.21 -3.14 5.78 0.072
H 1.09 -1.94 7.38 0.040
H 2.01 -0.46 7.28 0.036
Br -3.44 3.36 -1.06 0.647
C -5.28 3.35 -0.41 -0.669
C -6.10 2.23 -1.03 -0.699